SF State’s Black community celebrates their Black women

Maddison October

From left to right, Teylor Jones, Myra Odedina and Adokor Swaniker pose for a photo at the Black Women’s Appreciation event on February 20, 2020 in the Annex. (Photo by Maddison October / Golden Gate Xpress)

Felicia Hyde

Growing up with a biracial background of Filipina and African American, connecting with my black side was always a struggle for me because I was never seen as “not black enough”. I didn’t embrace or feel in tune with my blackness until I came to SF State and learned how to feel comfortable in my own skin. I learned what it felt like to be proud of your ethnic identity and appreciated my skin tone, identity and cultural background, and saw a whole new world of what it meant to be a Black woman when I saw and felt appreciation from SF State’s Black community. 

Last Thursday night, SF State’s Black Women’s Appreciation: Garden of Goddesses event celebrated the excellence of Black females, allowing women to embrace themselves no matter their size, shape or skin tone and be praised by the Black community. 

The text is interrupted by crystal structures:
/*
# 1
Computed, not measured: a relaxed structure of Co2MoPb at the PBE-GGA level of DFT.

Output
energy of formation = 503 meV per atom
ρ = 10.94 g/cm3
energy = -6.68 eV/atom

```
Co2MoPb
1.0
-2.744 2.719 -2.020
-4.272 0.858 0.108
-0.232 3.872 3.220
Co Mo Pb
2 1 1
Direct
0.020 0.020 0.927 Co
0.480 0.480 0.573 Co
0.750 0.750 0.750 Mo
0.250 0.250 0.250 Pb
```

# 2
Computed, not measured: a relaxed structure of Co2MoPb at the PBE-GGA level of DFT.

Output
energy of formation = 487 meV per atom
ρ = 11.16 g/cm3
energy = -6.70 eV/atom

```
Co2MoPb
1.0
4.568 -0.017 0.009
3.501 2.934 0.009
0.941 0.340 4.657
Co Mo Pb
2 1 1
Direct
0.010 0.010 0.964 Co
0.753 0.753 0.722 Co
0.483 0.483 0.595 Mo
0.254 0.254 0.219 Pb
```

# 3
Computed, not measured: a relaxed structure of CoMo2Pb at the PBE-GGA level of DFT.

Output
energy of formation = 470 meV per atom
ρ = 11.79 g/cm3
energy = -7.65 eV/atom

```
CoMo2Pb
1.0
-2.761 2.805 -3.376
-0.133 0.701 -5.136
-2.770 -2.082 -1.646
Co Mo Pb
1 2 1
Direct
0.750 0.750 0.750 Co
0.000 0.000 0.000 Mo
0.500 0.500 0.500 Mo
0.250 0.250 0.250 Pb
```

# 4
Computed, not measured: a relaxed structure of Co2MoPb at the PBE-GGA level of DFT.

Output
energy of formation = 551 meV per atom
ρ = 10.54 g/cm3
energy = -6.64 eV/atom

```
Co2MoPb
1.0
8.046 0.005 0.003
7.437 3.070 0.003
7.437 1.477 2.691
Co Mo Pb
2 1 1
Direct
0.985 0.985 0.985 Co
0.515 0.515 0.515 Co
0.250 0.250 0.250 Mo
0.750 0.750 0.750 Pb
```

----------

1.
# SrAc12Pm3

A geometry-optimized SrAc12Pm3 structure (GGA-PBE, the Alexandria database).

Calculated values
symmetry = P4/mmm
energy relative to the elements = 0.57 eV per formula unit

abc: 5.575 5.575 22.268
angles: 90.00 90.00 90.00
Sites, in units of the cell vectors:
Sr1 0.000 0.000 0.000
Ac1 0.000 0.500 0.132
Ac2 0.000 0.500 0.377
Ac3 0.000 0.500 0.623
Ac4 0.000 0.500 0.868
Ac5 0.500 0.000 0.132
Ac6 0.500 0.000 0.377
Ac7 0.500 0.000 0.623
Ac8 0.500 0.000 0.868
Ac9 0.500 0.500 0.000
Ac10 0.500 0.500 0.254
Ac11 0.500 0.500 0.500
Ac12 0.500 0.500 0.746
Pm1 0.000 0.000 0.253
Pm2 0.000 0.000 0.500
Pm3 0.000 0.000 0.747

=====

2.
# Y3TePd

A geometry-optimized Y3TePd structure (GGA-PBE, the Alexandria database).

Calculated values
formation energy without anion corrections = -0.742 eV/atom
offset from the most stable computed form = 0 meV/atom
symmetry = C2/m

abc: 8.596 8.596 9.676
angles: 120.85 120.85 28.51
Sites, in units of the cell vectors:
Y1 0.056 0.056 0.390
Y2 0.249 0.249 0.335
Y3 0.400 0.400 0.038
Y4 0.600 0.600 0.962
Y5 0.751 0.751 0.665
Y6 0.944 0.944 0.610
Te1 0.163 0.163 0.790
Te2 0.837 0.837 0.210
Pd1 0.386 0.386 0.723
Pd2 0.614 0.614 0.277

----------

The following is a PBE-GGA calculation of Pm6Si2AuI3 after structural relaxation, from the Alexandria database.

Unit cell a=7.5068 b=13.0221 c=7.9161 alpha=90.00 beta=108.60 gamma=90.00
Last column: nearest neighbours and their distance in Å.
Space group C2/m (No. 12)
Unique sites:
Pm  0.2266  0.0000  0.2052 [4 per cell]  2 Si 2.91, 1 Au 3.00
*/
End of the crystal structures:

“Not just anyone would come out and be like, ‘Oh, I want to appreciate a Black woman’ like it’s not something that is common,” said Ikeoluwa Oladoja, a freshman who attended the event. “A white person wouldn’t just say oh, I want to appreciate a Black woman just because I feel like it’s only Black people that will do that.” 

Lee Twyman, a member of Phi Beta Sigma Fraternity, Inc., founded the Black Women’s Appreciation event back in February 2000 as well as an Elder’s Appreciation Luncheon for families and the community. Twyman said the focus of the Black Women’s event was to help women within the Black community to know they are loved and appreciated no matter what. 

The event was not only for those who attended SF State or a part of the Black community, but welcomed families, loved ones and others who wanted to share their appreciation for these women. 

While Oladoja said she already feels good in her skin, she still enjoyed the experience of feeling appreciated by others.

“Black people are like the most beautiful people in the world to me,” Oladoja said.

As the young men served food to the women, the evening began with a ceremony where the crowd recognized ancestors and loved ones who passed away. Dorothy Tsuruta, a professor within the Africana Studies department, led the libations for the night before any singing, spoken word and dancing took place. 

“This Black student event continues as it has over the years to be so very lovely and gracious,” said Tsuruta. “The honor paid to the ancestors surely makes the ancestors proud of our wonderful Black students.” 

After it’s launch 20 years ago, Phi Beta Sigma Fraternity Inc. and Alpha Phi Alpha Fraternity Inc. joined efforts to continue to show appreciation for Black women and eventually began a Black Men’s Appreciation event as well. As time went on, Alpha Phi Alpha Fraternity Inc. took the lead in hosting the event in collaboration with SF State’s Black Student Union.  

Black Women’s Appreciation is the biggest event in the Black community at SF State, according to Daniel Ogbonna, a member of Alpha Phi Alpha Fraternity Inc. who volunteered in the past and originally heard about it through BSU like many others, continuing to keep it going. 

“Black Women at San Francisco State do so much for this community and every year they deserve to be appreciated in the right way,” said Ogbonna. “BSU, ASA (African Student Association) , BBSA (Black Business Students Association) , Divine 9 (Black Greek organizations) etc., all those women on the boards or in positions of leadership work day and night to better the San Francisco State Community.”

For many students like Hanna Almaz Ahadu, a first year english literature and race and resistance major, being at an event full of appreciation toward the Black community was a first. 

“I grew up around little to no black peers and it’s so refreshing to be surrounded by my amazing community members here at SF State,” said Ahadu. “It’s important because it helps us all remember and pay respect to the people who are in fact the cradle of civilization itself-Black women.”

Towards the end of the night women leaders in the Black community received awards for leadership. Many students like Hiwot Dereje, a junior who attended the event a number of times, felt BSU succeeded in the demonstration of appreciation with attention to detail and well-coordinated organization.

“It’s not often that Black women enter spaces where they are appreciated and looked after. It’s nice that events like this are put on every year,” Dereje said. “I identify as Black because I’m an Ethiopian and this event meant to me that no matter what, Black women should be appreciated.”

Black Men’s Appreciation will be held Feb. 27 in the Annex from 7-9 p.m.